Lou Dobbs And Ed Rollins Beat The War Drums Against Bob Mueller
# Misplaced data records
[1]
{"formula": "C3N2O4", "method": "ωB97M-V/def2-TZVPD", "symbols": ["C", "C", "C", "N", "N", "O", "O", "O", "O"], "xyz": [[0.132, -1.232, 0.864], [0.238, 0.691, -1.660], [-0.166, 0.192, 0.406], [-1.207, 0.889, 0.951], [-0.113, 1.317, 1.434], [-0.124, -2.164, 0.075], [-0.771, 1.103, -2.181], [0.604, -1.326, 2.020], [1.407, 0.530, -1.909]], "forces_ev_per_angstrom": [[-0.13, -0.05, 0.30], [-0.29, -0.56, 2.87], [2.23, -0.11, -3.50], [-0.05, 1.71, 1.89], [-1.78, -1.05, -1.09], [-0.14, -0.07, -0.32], [-0.63, 0.25, -0.40], [0.23, -0.02, 0.55], [0.56, -0.09, -0.30]], "multiplicity": 1, "e_homo_ev": 0.8, "e_above_lowest_kj_mol": 152.2, "molar_mass_g_mol": 128.04, "total_charge": -2}



[2]
{"formula": "C3NO5", "method": "ωB97M-V/def2-TZVPD", "symbols": ["C", "C", "C", "N", "O", "O", "O", "O", "O"], "xyz": [[2.586, -0.130, 0.109], [-0.118, -1.204, -0.113], [-0.947, 0.219, -0.245], [-1.085, 1.346, 0.590], [0.928, -1.140, -0.762], [2.114, 0.864, 0.504], [-0.767, -1.947, 0.619], [-0.602, 1.452, -0.761], [-2.278, 0.566, 0.215]], "forces_ev_per_angstrom": [[-0.60, 3.55, 1.57], [-1.91, 1.77, 0.20], [-0.16, 0.14, 1.90], [0.59, -1.18, 1.42], [-0.63, -1.41, -0.12], [1.58, -2.96, -1.08], [1.16, -0.43, -0.52], [-0.39, 0.54, -2.07], [0.37, -0.02, -1.31]], "multiplicity": 1, "e_homo_ev": -5.6, "e_above_lowest_kj_mol": 662.7, "molar_mass_g_mol": 130.03, "total_charge": -1}



Please write out number 2 again, unchanged.
{"formula": "C3NO5", "method": "ωB97M-V/def2-TZVPD", "symbols": ["C", "C", "C", "N", "O", "O", "O", "O", "O"], "xyz": [[2.586, -0.130, 0.109], [-0.118, -1.204, -0.113], [-0.947, 0.219, -0.245], [-1.085, 1.346, 0.590], [0.928, -1.140, -0.762], [2.114, 0.864, 0.504], [-0.767, -1.947, 0.619], [-0.602, 1.452, -0.761], [-2.278, 0.566, 0.215]], "forces_ev_per_angstrom": [[-0.60, 3.55, 1.57], [-1.91, 1.77, 0.20], [-0.16, 0.14, 1.90], [0.59, -1.18, 1.42], [-0.63, -1.41, -0.12], [1.58, -2.96, -1.08], [1.16, -0.43, -0.52], [-0.39, 0.54, -2.07], [0.37, -0.02, -1.31]], "multiplicity": 1, "e_homo_ev": -5.6, "e_above_lowest_kj_mol": 662.7, "molar_mass_g_mol": 130.03, "total_charge": -1}

----------

(1)
This record from the Open Molecules 2025 dataset describes a molecular structure, C34H62Br2N2O7PSSeSiTi. The level of theory is ωB97M-V with the def2-TZVPD basis set.

Spin multiplicity = 2
Expectation value of S² = 0.753
Relative energy (zero: lowest compared OMol25 entry of this formula, charge and spin) = 2.103 eV
HOMO energy (alpha / beta) = -6.258 / -6.294 eV
Total energy = -11397.078989 a.u.
Largest force on an atom = 0.0899 Eh/bohr
Net charge = 0
HOMO-LUMO gap (alpha / beta) = 0.222 / 0.222 hartree

Geometry (Å):
1 Ti 2.626 0.410 0.219
2 C -0.709 1.475 1.850
3 C 0.514 0.914 1.261
4 O 1.359 0.192 1.929
5 O 0.780 1.070 0.026
6 H -1.066 0.921 2.807
7 H -1.599 1.536 1.184
8 H -0.374 2.474 2.185
9 Se 1.293 -2.007 -0.628
10 C 2.632 -3.246 -1.201
11 C 3.017 -4.495 -0.695
12 C 3.720 -5.359 -1.494
13 N 4.314 -4.942 -2.609
14 C 4.052 -3.731 -3.090
This is sickening.
I've been monitoring the right-wing media for a very long time, so I'm used to the lies, the racism, the deeply un-American positions of their talking heads. That said, there was something really insidious about this Fox Business segment last night with Lou Dobbs and Ed Rollins, and it made me sick, just how shamelessly Fox hammers their viewers with lies to incite them. (Remember, this is the "business" channel.)
"Let's start with these calls for Mueller to resign, on the face -- as we documented here for weeks now, there is no basis for the man with any integrity to stay in that job," Dobbs said.
"The issue I would make right now is, I watched this rally tonight. Thousands and thousands of great Americans out there, basically cheering this president," Rollins said.
=====
No. 1
=====
"Whether the Russians colluded in this election or not (Who did they collude with, Ed?), the bottom line is, they got their way. This country is in a state of disarray because of their activities. The special prosecutor was appointed because allegedly, the attorney general was involved in some way, shape or form in the campaign. He has testified for hours before the Congress, and there is absolutely no evidence he had anything to do with the Russians, just because he was giving advice to the campaign." (Besides the undisclosed meetings with Russians he "forgot" to disclose, of course.)
"If I was him, I would say, come in my office tomorrow, I want the FBI director, I want the deputy attorney general, and I want Sessions. And I want you to tell me what are you doing here and why are you bringing a grand jury and what case. Bob Mueller, the special counsel. And I want him to make his case. And if you have any objections to it, you put them out here in front of me. If you can't make a case why you can't -- why I can't be involved in this, because you are acting with my power. There is no evidence I had anything to do with charges of collusion. And if you think I was, you are now going to a grand jury in the District of Columbia instead of Fairfax County. Tell me why you're going there."
"You know why," Dobbs said. "Mueller selected a potential grand jury that voted 96% for Hillary Clinton."
"I understand that," Rollins said.
"Whenever they want to go after anybody else, they go elsewhere. I would just argue he has to answer to somebody. Right now, he's not answering to somebody.
"You are talking about a rotten to the core Republican leadership on Capitol Hill. Speaker Ryan and Mitch McConnell, who don't have the guts to defend this president."
So Ed Rollins thinks Jeff Sessions should intimidate the Justice Department officials into backing off the case. He doesn't see anything wrong there, because right-wingers are authoritarians who ignore the rule of law.
And we all know what "Hillary Clinton" voters is code for.
FYI: The grand jury is in D.C. because that's where the alleged crimes happened.